Shark like fishes

Bull Shark Bull Shark
Carcharhinus leucas


The bull shark is also known as the cub, Ganges, Nicaragua, river, shovelnose, slipway grey, square-nose, Van Rooyen's, and Zambezi shark. The Bull Shark can be recognized by its unique body shape, which is much wider in comparison to its length than other sharks, and its snout, which is wider than it is long. These features give the Bull Shark an almost stout appearance. The shark is gray on the top half of its body and off white underneath. Several individuals have been found with pale stripes on the sides of their bodies. The Bull Shark also has two dorsal fins, the second of which is much smaller than the first. Males of the species are approximately 7 feet long and weich 90 kg while females grow to 11.4 feet on average and weigh 230 kg. The young sharks can be distinguished by the dark edges on their fins.

Unrelated to this article: materials data >
(1)
## CoPS (PBE-GGA)

Data for a relaxed CoPS crystal.

Values from the calculation:
Its space-group type is Cm, No. 8. As for the uncorrected formation energy: -0.0540 eV/atom. Its volume is 15.0 Å³/atom.

Lattice parameters (Å, degrees): 4.0818 4.0818 3.9528 101.17 101.17 44.44
Last column: nearest neighbours and their distance in Å.
Fractional positions:
Co: 0.0000 0.0000 0.0000  3 P 2.24-2.25, 2 S 2.33
P: 0.6959 0.6959 0.8932  1 S 2.10, 3 Co 2.24-2.25
S: 0.4946 0.4946 0.4376  1 P 2.10, 2 Co 2.33

(2)
## CoP2S2 (PBE-GGA)

Data for a relaxed CoP2S2 crystal.

Values from the calculation:
The value obtained for the energy above the most stable polymorph in this dataset is 231 meV/atom. Its space-group type is P4/mmm, No. 123. As for the uncorrected formation energy: 0.9706 eV/atom. Its volume is 17.5 Å³/atom.

Lattice parameters (Å, degrees): 4.4543 4.4543 4.4196 90.00 90.00 90.00
Last column: nearest neighbours and their distance in Å.
Fractional positions:
Co: 0.0000 0.0000 0.0000  8 S 3.14, 4 P 3.15
P: 0.5000 0.5000 0.0000  2 P 2.21
P: 0.5000 0.5000 0.5000  2 P 2.21, 4 S 2.23
S: 0.0000 0.5000 0.5000  2 P 2.23
S: 0.5000 0.0000 0.5000  2 P 2.23

(3)
## CoPS (PBE-GGA)

Data for a relaxed CoPS crystal.

Values from the calculation:
Its space-group type is I-4m2, No. 119. As for the uncorrected formation energy: -0.0527 eV/atom. Its volume is 13.9 Å³/atom.

Lattice parameters (Å, degrees): 3.8955 3.8955 3.8955 119.95 119.95 90.08
Last column: nearest neighbours and their distance in Å.
Fractional positions:
Co: 0.0000 0.0000 0.0000  4 S 2.39, 4 P 2.39
P: 0.2500 0.7500 0.5000  4 Co 2.39
S: 0.7500 0.2500 0.5000  4 Co 2.39

| no. | density of states at the Fermi level (states/eV per cell) |
| --- | --- |
| 1 | 1.52 |
| 2 | 5.72 |
| 3 | 0.81 |

----------

VASP calculation (SCAN) on a PBEsol-optimized structure of MgGa2.

Cell and atoms, written as extended XYZ:
```
6
Lattice="-0.2610 -0.8934 -2.9890 -0.4768 -4.4799 1.3807 -7.3268 1.3572 1.8735" Properties=species:S:1:pos:R:3 pbc="T T T"
Mg -1.8445 -2.0438 0.7720
Mg -4.6274 -2.1667 -0.5877
Ga -4.9721 0.6071 0.2527
Ga -6.9009 -1.4265 1.0290
Ga -7.4789 0.4505 -1.1210
Ga -2.6264 -0.1420 -1.3676
```

Calculated values
- volume (Å³/atom) = 18.5
- N(E_F) (states/eV/atom) = 0.384
- total magnetic moment (μB per formula unit) = 0.0
- energy of formation from the pure elements (eV per atom) = -0.0505

Geographic Range

Oceanic Islands, Atlantic Ocean, Gulf of Mexico, Pacific Ocean, Indian Ocean, Australian Oceans: The Bull Shark inhabits coastal waters in tropical and subtropical seas worldwide.

Bull Shark

Food Habits

The Bull Shark is an omnivorous animal. It routinely preys upon fish, sharks (especially young sandbar sharks), rays, turtles, echinoderms, birds, mollusks, dolphins, and almost anything else it can find. Remains of everything from humans to hippopotami have been found in Bull Sharks' stomachs. (Australian Museum 1999, Bilson and Bilson 1999)

Bull Shark


Bull Sharks are viviparous, meaning they give birth to live young that are nourished inside the mother shark. Sexual maturity is reached between the ages of 8 - 10. Bull Sharks breed in the summer months and the young sharks are born approximately one year later. The pups are born in litters of up to 13 and are around 28 inches at birth. A common breeding place for the Bull Shark is the brackish water where freshwater rivers meet the saltwater oceans.


The Bull Shark is a solitary species that hunts by itself. Most individuals are not migratory, however many Bull Sharks in South America have been known to migrate thousands of miles from the Amazon River to the Atlantic Ocean. The largest threat to the shark is the large number of humans who fish for it commercially. The Bull Shark is also preyed upon by other large sharks especially in its juvenile stage. One interesting behavior is the Bull Shark's willingness to enter freshwater areas. The shark has been found far up the Mississippi and Amazon Rivers and also in Lake Nicaragua. Scientists thought the sharks in Lake Nicaragua were a separate species until they discovered that Bull Sharks were jumping the rapids, much like salmon, to enter the lake.


Although Bull Sharks have been caught in considerably deeper water, they most often reside in water between 30 meters and waste deep. My brother, Mike Walker, Louisiana Wildlife and Fisherie's famous marine biologist (photo on right and below), holds one caught in shallow fresh water in the Achafalaya Basin, Louisiana in 2002. The sharks also seem to favor murky water for hunting reasons and is able to survive in freshwater for extended periods of time.

Michael R. Walker holding a Bull Shark


The Bull Shark is one of the most commonly caught sharks in the world. It is frequently used as food in coastal areas and its skin is used to make leather.


Bull Sharks have an appetite for young Sandbar Sharks. Because many Sandbar Sharks do not reach maturity, this has a negative impact on the large commercial businesses that fish for them.

Bull Shark

Other Comments

The Bull Shark is considered by many people to be the most dangerous shark alive. Its close proximity to populated shoreline areas and its aggressive behavior makes it extremely dangerous to humans. Despite the notoriety of other sharks such as the Great White and the Tiger Shark, the fact that they live in deeper ocean waters makes them less likely to present a danger to people along the coastal areas.